I think we can all agree smartphones would be the best platform for the next Animal Crossing

I think we can all agree smartphones would be the best platform for the next Animal Crossing.

No, no it wouldn't. It belongs on the NX, especially if it really is a handheld/console hybrid.

I do agree. I've been saying its a smartphone game since it was on DS. And given how little content the game has and limiting what the player can do on a daily basis, it would be the best for a smartphone. People would be more inclined to play 30 minutes of AC a day on a device they're already using rather than turn on their 3DS just to have to turn it off again.

No one will want to buy a smartphone game for more than a few dollars
And because of that they are fraught with micro-transactions and/or ads

Don't tarnish animal crossing with that shit

Improving villager dialogue would go a long way in improving the game.

I'm not agreeing to that shit.

>pay $.50 to put furniture down
>pay $5 to expand your house
>pay $.10 to catch a fish or bug
>pay $1 for each KK Slider song
I think we can all agree that OP is a faggot.

And having more interaction with them besides just talking. Also, something to do on the side like farming or mining. It really wouldn't break the formula if you had your 'daily' events with NPCs, but then could spend the rest of the day farming crops.

It could work fine, I'm sure people just as yourself would eat it up as if it was the second coming of Jesus. But it would be a shitty butchered P2P version compared to anything it was or could be in handhelds and consoles.

So fuck off.

I want to play as one of the villagers, a newcomer
I want to be able to pick a species and customize it, perhaps even by drawing
I want social interaction on the scale where I can go on "friend dates" with other villagers

also this

One of my greatest vidya wishes is that one day we'll have animal crossing on PC or phone. I don't want to buy the shitty 3DS just to play new leaf.

>it's a portbeggar
m-muh mastterrace

what I love is that if Pokemon become a huge success, it could be the end of handheld games.

>No more different ports of each game
>being able to play Nintendo exclusives and Sony exclusives with your phone
>use an open source OS like Android

It's a win win situation

Nah, I like the handheld paywall. Keeps the faggots and poor niggers out.


If they play their cards right, this will follow Pokemon Go's success or else be released as it wanes a bit but while people are still high on augmented reality games (which I think they should be).

Animal Crossing lends itself SO fucking well to this sort of thing.

-- These data records were left in the entry by mistake --
┌──
[1]
Here is a relaxed Cs3TlCd crystal from the Alexandria database. Energies are from PBE.

Calculated values
**Polymorph energy (0 for the lowest one)**: 180 meV/atom
**Symmetry**: Pm-3m (221)

```
data_Cs3TlCd
_chemical_formula_sum 'Cs3 Tl1 Cd1'
_space_group_name_H-M_alt 'P 1'
_space_group_IT_number 1
_space_group_name_Hall 'P 1'
_cell_length_a 7.4552
_cell_length_b 7.4552
_cell_length_c 7.4552
_cell_angle_alpha 90.00
_cell_angle_beta 90.00
_cell_angle_gamma 90.00
loop_
_atom_site_label
_atom_site_type_symbol
_atom_site_fract_x
_atom_site_fract_y
_atom_site_fract_z
Cs1 Cs 0.0000 0.0000 0.5000
Cs2 Cs 0.0000 0.5000 0.0000
Cs3 Cs 0.5000 0.0000 0.0000
Tl1 Tl 0.0000 0.0000 0.0000
Cd1 Cd 0.5000 0.5000 0.5000
```



[2]
Here is a relaxed Cs4Tl5Cd crystal from the Alexandria database. Energies are from PBE.

Calculated values
**VASP energy**: -1.6810 eV/atom
**Symmetry**: I4 (79)

```
data_Cs4Tl5Cd
_chemical_formula_sum 'Cs4 Tl5 Cd1'
_space_group_name_H-M_alt 'P 1'
_space_group_IT_number 1
_space_group_name_Hall 'P 1'
_cell_length_a 8.8820
_cell_length_b 8.8820
_cell_length_c 8.8820
_cell_angle_alpha 100.54
_cell_angle_beta 100.54
_cell_angle_gamma 129.37
loop_
_atom_site_label
_atom_site_type_symbol
_atom_site_fract_x
_atom_site_fract_y
_atom_site_fract_z
Cs1 Cs 0.0637 0.3082 0.3719
Cs2 Cs 0.3082 0.9363 0.2445
Cs3 Cs 0.6918 0.0637 0.7555
Cs4 Cs 0.9363 0.6918 0.6281
Tl1 Tl 0.1967 0.1967 0.0000
Tl2 Tl 0.3169 0.5801 0.8993
Tl3 Tl 0.4176 0.3169 0.7368
Tl4 Tl 0.5801 0.6808 0.2632
Tl5 Tl 0.6808 0.4176 0.1007
Cd1 Cd 0.7950 0.7950 0.0000
```



Number 1: total magnetic moment 0.00 μB per cell. Number 2: total magnetic moment 0.00 μB per cell.


Record 1
Here is a geometry-optimized ZrTa structure from the Alexandria database. Energies are from PBE.

Results
- calculated formation energy (kJ/mol of formula units) = 88
- raw total energy (eV per atom) = -9.7462
- total magnetization (μB per formula unit) = 0.0

Unit cell a=8.233 b=8.233 c=5.235 alpha=90.00 beta=90.00 gamma=90.00
Space group P4/m (No. 83)
One atom of each set of equivalent atoms:
Zr1 0.065 0.317 0.000 x4
Zr2 0.092 0.738 0.500 x4
Ta1 0.262 0.428 0.500 x4
Ta2 0.288 0.601 0.000 x4


Record 2
Here is a geometry-optimized ZrTa structure from the Alexandria database. Energies are from PBE.

Results
- calculated formation energy (kJ/mol of formula units) = 19
- raw total energy (eV per atom) = -10.1013
- total magnetization (μB per formula unit) = 0.0

Unit cell a=3.403 b=4.837 c=9.952 alpha=90.00 beta=90.00 gamma=90.00
Space group Cmme (No. 67)
One atom of each set of equivalent atoms:
Zr1 0.000 0.250 0.143 x4
Ta1 0.000 0.250 0.611 x4


Record 3
Here is a geometry-optimized Zr4Ta5 structure from the Alexandria database. Energies are from PBE.

Results
- calculated formation energy (kJ/mol of formula units) = 112
- raw total energy (eV per atom) = -10.2544
- total magnetization (μB per formula unit) = 0.0

Unit cell a=10.312 b=10.312 c=3.414 alpha=90.00 beta=90.00 gamma=90.00
└──

Would definitely be nice to not have to play it on a 240p screen.

The next mobile games are Fire Emblem and Animal Crossing, and no way in hell is Nintendo going to be stupid enough to cripple two of the things that drive platform sales(only recently in the case of FE) by putting it on mobile.

What you're getting is a promotional fascimile, much like how Pokemon Go simply has the broad concepts of capturing and gym battling.


I don't want to see Nintendo's version of Cortana.

>everyone shits themselves over Isabelle who became your secretary
>no love for Digby who was given the useless streetpass feature
You really should have been able to choose which one became your secretary.

No and please kill yourself.

Would he wear a secretary outfit as well?

Probably desu

>useless streetpass feature

>not ordering all the shit you don't have in your catalog from every house you find

>implying I live anywhere where I get streetpasses

If the NX bombs they won't have much choice.